
It was a busy week creating a new workshop, scratching the surface of a new project for a healers community, and carving out some physical space to record (audio and video). My office is open and very sunny, not conducive to recording, so I claimed some space in my (very large) closet mostly because the sound and light is easier to control in there.

By Friday I was very unproductive, flitting from project to project without getting a thing done. This is usually a symptom of too much work and not enough play for me. I’m grateful to have the awareness of that.

We all lose that spark for life or get a little lost on our journey from time to time.

The stress of everyday life – this past year has provided plenty of that.

The repetition of daily activities can feel so monotonous and you kind of lose yourself.

  • Time passes
  • Roles shift
  • Autopilot gets activated
  • Overwhelm sets in
  • The road ahead seems shorter than the road behind you.
  • Boredom floats in

Pick your trigger(s). These triggers first show up as a disruption in your energy field. It’s invisilbe so it can be easy to ignore Over time it creates blocks, and you start to feel less engaged and more disconnected from your life.

If I’m being honest the procrastination pattern is often preceded by some restless sleep and a vague sense of discontent….and I often ignore those early indicators 🙂

The good news is you can clear energy blocks at any stage, and if you tune in to the six spheres of influence, you can re-ignite that spark with small, consistent actions.

The six spheres are areas that research has shown to significantly increase life satisfaction. They are self-awareness, positive relationships, environment, sovereignty, personal growth, and purpose. I want to explore the first sphere today.

# Unrelated to this page: materials data
┌──
# CrCo2Ru, PBEsol geometry, DFT meta-GGA SCAN
data_CrCo2Ru
_chemical_formula_sum 'Cr2 Co4 Ru2'
_symmetry_space_group_name_H-M 'I 4/m m m'
_symmetry_Int_Tables_number 139
_symmetry_space_group_name_Hall '-I 4 2'
_cell_length_a 3.502
_cell_length_b 3.502
_cell_length_c 7.198
_cell_angle_alpha 90.00
_cell_angle_beta 90.00
_cell_angle_gamma 90.00
loop_
_atom_site_label
_atom_site_type_symbol
_atom_site_fract_x
_atom_site_fract_y
_atom_site_fract_z
Cr1 Cr 0.000 0.000 0.000
Co1 Co 0.000 0.500 0.250
Ru1 Ru 0.000 0.000 0.500
# Raw total energy in eV/f.u.: -87.19
# ΔE to the lowest computed polymorph in kcal/mol of atoms: 1.52
# Spin magnetization in μB/f.u.: 1.82

~~~~~

1.
Density functional theory data (PBE with a Hubbard U) for a relaxed VGaNO2 crystal.

abc: 3.6861 3.6861 4.1338
angles: 90.00 90.00 90.00
Last column: nearest neighbours and their distance in Å.
Element x y z (fractional)
V 0.0000 0.0000 0.0000  4 O 1.84
Ga 0.5000 0.5000 0.5000  4 N 2.61, 8 O 2.77
N 0.0000 0.0000 0.5000  2 V 2.07
O 0.0000 0.5000 0.0000  2 V 1.84
O 0.5000 0.0000 0.0000  2 V 1.84

Calculated values
Its volume is 11.233 Å³/atom. Its space-group type is No. 123. The calculated total energy is -31.7 eV/cell.

***

2.
Density functional theory data (PBE with a Hubbard U) for a relaxed VGaNO2 crystal.

abc: 3.8382 3.8382 3.8769
angles: 90.00 90.00 90.00
Last column: nearest neighbours and their distance in Å.
Element x y z (fractional)
V 0.0000 0.0000 0.0000  4 N 2.71, 8 O 2.73
Ga 0.5000 0.5000 0.5000  4 O 1.92, 2 N 1.94
N 0.5000 0.5000 0.0000  2 Ga 1.94
O 0.0000 0.5000 0.5000  2 Ga 1.92
O 0.5000 0.0000 0.5000  2 Ga 1.92

Calculated values
Its volume is 11.423 Å³/atom. Its space-group type is No. 123. The calculated total energy is -29.3 eV/cell.

***

3.
Density functional theory data (PBE with a Hubbard U) for a relaxed VGaN2O crystal.

abc: 3.8294 3.8294 3.7523
angles: 90.00 90.00 90.00
Last column: nearest neighbours and their distance in Å.
Element x y z (fractional)
V 0.0000 0.0000 0.0000  8 N 2.68, 4 O 2.71
Ga 0.5000 0.5000 0.5000  2 O 1.88, 4 N 1.91
N 0.0000 0.5000 0.5000  2 Ga 1.91
N 0.5000 0.0000 0.5000  2 Ga 1.91
O 0.5000 0.5000 0.0000  2 Ga 1.88

Calculated values
Its volume is 11.005 Å³/atom. Its space-group type is No. 123. The calculated total energy is -27.2 eV/cell.

***

4.
Density functional theory data (PBE with a Hubbard U) for a relaxed GaWN2O crystal.

abc: 4.0279 4.0279 3.9321
angles: 90.00 90.00 90.00
Last column: nearest neighbours and their distance in Å.
Element x y z (fractional)
Ga 0.0000 0.0000 0.0000  8 N 2.81, 4 O 2.85
W 0.5000 0.5000 0.5000  2 O 1.97, 4 N 2.01
N 0.0000 0.5000 0.5000  2 W 2.01
N 0.5000 0.0000 0.5000  2 W 2.01
O 0.5000 0.5000 0.0000  2 W 1.97

Calculated values
Its volume is 12.759 Å³/atom. Its space-group type is No. 123. The calculated total energy is -32.4 eV/cell.

***

5.
Density functional theory data (PBE with a Hubbard U) for a relaxed GaWN2O crystal.

abc: 3.8555 3.8555 3.7976
angles: 90.00 90.00 90.00
└──

Self-Awareness – this focuses on self-acceptance, self-love – including your wrinkles, warts, rolls, the good, the bad, and the indifferent qualities you have. Knowing your strengths AND your weaknesses helps you navigate through the ups and downs of life. Self-Awareness isn’t about artificial cheerleading.

It’s about accepting the fact that you’re human and you do have both positive and negative aspects, and they’re not mutually exclusive. How you manage your thoughts about who you are and the things you do or don’t do is a component here as well. There will always be things that you’ll want to work on and others that naturally shine.

Increasing self-awareness is as simple as noticing and being honest about what’s going on for you not just on the surface but deeper too. As that discernment increases so does your ability to notice the energy that’s flowing(or not flowing as the case may be). This level of self-awareness deepens over time. Recognizing shifts in your energetic flow and adjusting it can help you sidestep bigger issues down the road.

Try this experiment this week to boost self-awareness: At least once a day before starting a task do a check in – ask yourself these questions and notice any patterns. This is quick and should only take 30 – 60 seconds

  • What am I trying to accomplish here?
  • Why?
  • Given my strengths & weaknesses, what’s the best use of my time?
  • What type of energy do I need? (ie: calm, expansive, high octane etc)

Let me know how it goes okay? Have a great week.